**Exercise:**
Start at the top of the entries further down and restate each line, ending with the one that has "5.7234 2.2652", please.

**Given:**
********
[1]
DFT (PBE) results for crystalline Sm2GaRu at its relaxed geometry. Values from VASP.

Results
E	-5.891	eV per atom
ΔE_f	-0.456	eV per atom
mass density	8.2	g cm⁻³

Quantum ESPRESSO input file:
```
&SYSTEM
  ibrav = 0, nat = 8, ntyp = 3
/
ATOMIC_SPECIES
Sm 150.36 Sm.upf
Ga 69.72 Ga.upf
Ru 101.07 Ru.upf
CELL_PARAMETERS angstrom
3.8429 0.0000 0.0000
0.0000 6.1105 -0.0508
0.0000 -3.1158 8.1680
ATOMIC_POSITIONS angstrom
Sm 2.8821 0.0039 3.3696
Sm 0.9607 2.9907 4.7476
Sm 0.9607 4.6086 0.4063
Sm 2.8821 -1.6140 7.7109
Ga 2.8821 2.9699 2.2913
Ga 0.9607 0.0248 5.8259
Ru 0.9607 1.3114 1.7209
Ru 2.8821 1.6832 6.3963
```

[2]
DFT (PBE) results for crystalline Tm2AlGa2 at its relaxed geometry. Values from VASP.

Results
E	-4.360	eV per atom
ΔE_f	-0.612	eV per atom
mass density	7.9	g cm⁻³
energy above the most stable polymorph in this dataset	0	meV per atom

Quantum ESPRESSO input file:
```
&SYSTEM
  ibrav = 0, nat = 20, ntyp = 3
/
ATOMIC_SPECIES
Tm 168.93 Tm.upf
Al 26.98 Al.upf
Ga 69.72 Ga.upf
CELL_PARAMETERS angstrom
6.9167 0.0000 0.0000
0.0000 6.9167 0.0000
0.0000 0.0000 8.8121
ATOMIC_POSITIONS angstrom
Tm 4.6517 5.7236 4.4060
Tm 2.2650 1.1931 4.4060
Tm 5.7234 2.2652 0.0000
Tm 1.1933 4.6515 0.0000
Tm 5.7236 2.2650 4.4060
Tm 1.1931 4.6517 4.4060
Tm 2.2652 1.1933 0.0000
Tm 4.6515 5.7234 0.0000
Al 3.4584 3.4584 2.2040
Al 0.0000 0.0000 6.6100
Al 3.4584 3.4584 6.6081
Al 0.0000 0.0000 2.2021
Ga 2.5551 6.0134 2.2030
Ga 4.3617 0.9033 2.2030
Ga 0.9033 2.5551 6.6091
Ga 6.0134 4.3617 6.6091
Ga 6.0134 4.3617 2.2030
Ga 0.9033 2.5551 2.2030
Ga 2.5551 6.0134 6.6091
Ga 4.3617 0.9033 6.6091
```

[3]
DFT (PBE) results for crystalline LiB3C at its relaxed geometry. Values from VASP.

Results
E	-3.167	eV per atom
ΔE_f	3.067	eV per atom
mass density	1.9	g cm⁻³
energy above the most stable polymorph in this dataset	2959	meV per atom

Quantum ESPRESSO input file:
```
&SYSTEM
  ibrav = 0, nat = 5, ntyp = 3
/
ATOMIC_SPECIES
C 12.01 C.upf
B 10.81 B.upf
Li 6.94 Li.upf
CELL_PARAMETERS angstrom
3.5578 0.0000 0.0000
0.0000 3.5578 0.0000
0.0000 0.0000 3.5578
ATOMIC_POSITIONS angstrom
C 1.7789 1.7789 1.7789
B 0.0000 1.7789 0.0000
B 0.0000 0.0000 1.7789
B 1.7789 0.0000 0.0000
Li 0.0000 0.0000 0.0000
```


Record 1
Entry from the Alexandria database: crystalline Sr3TaAg at its relaxed geometry (GGA-PBE).

Values from the calculation:
ΔE to the lowest computed polymorph	129	meV/atom
DOS(E_F)	0.9324	states/eV/atom
M_tot	0.00	μB/cell
energy	-14.47	eV/cell
ΔH_f (0 K)	1.06	eV per atom

Cell lengths 5.9015, 5.9015, 5.9015 Å; angles 90.00, 90.00, 90.00 degrees
Last column: nearest neighbours and their distance in Å.
Fractional positions:
Sr 0.0000 0.5000 0.0000  2 Ta 2.95
Sr 0.0000 0.0000 0.5000  2 Ta 2.95
Sr 0.5000 0.0000 0.0000  2 Ta 2.95
Ag 0.5000 0.5000 0.5000  12 Sr 4.17
Ta 0.0000 0.0000 0.0000  6 Sr 2.95

***

Record 2
Entry from the Alexandria database: crystalline SrTaAg2 at its relaxed geometry (GGA-PBE).

Values from the calculation:
ΔE to the lowest computed polymorph	137	meV/atom
DOS(E_F)	0.6423	states/eV/atom
M_tot	0.00	μB/cell
energy	-17.23	eV/cell
ΔH_f (0 K)	0.50	eV per atom
********

**Outcome:**
[1]
DFT (PBE) results for crystalline Sm2GaRu at its relaxed geometry. Values from VASP.

Results
E	-5.891	eV per atom
ΔE_f	-0.456	eV per atom
mass density	8.2	g cm⁻³

Quantum ESPRESSO input file:
```
&SYSTEM
  ibrav = 0, nat = 8, ntyp = 3
/
ATOMIC_SPECIES
Sm 150.36 Sm.upf
Ga 69.72 Ga.upf
Ru 101.07 Ru.upf
CELL_PARAMETERS angstrom
3.8429 0.0000 0.0000
0.0000 6.1105 -0.0508
0.0000 -3.1158 8.1680
ATOMIC_POSITIONS angstrom
Sm 2.8821 0.0039 3.3696
Sm 0.9607 2.9907 4.7476
Sm 0.9607 4.6086 0.4063
Sm 2.8821 -1.6140 7.7109
Ga 2.8821 2.9699 2.2913
Ga 0.9607 0.0248 5.8259
Ru 0.9607 1.3114 1.7209
Ru 2.8821 1.6832 6.3963
```

[2]
DFT (PBE) results for crystalline Tm2AlGa2 at its relaxed geometry. Values from VASP.

Results
E	-4.360	eV per atom
ΔE_f	-0.612	eV per atom
mass density	7.9	g cm⁻³
energy above the most stable polymorph in this dataset	0	meV per atom

Quantum ESPRESSO input file:
```
&SYSTEM
  ibrav = 0, nat = 20, ntyp = 3
/
ATOMIC_SPECIES
Tm 168.93 Tm.upf
Al 26.98 Al.upf
Ga 69.72 Ga.upf
CELL_PARAMETERS angstrom
6.9167 0.0000 0.0000
0.0000 6.9167 0.0000
0.0000 0.0000 8.8121
ATOMIC_POSITIONS angstrom
Tm 4.6517 5.7236 4.4060
Tm 2.2650 1.1931 4.4060
Tm 5.7234 2.2652 0.0000